Governing Documents


The laws of the land take precedence over all other HOA documents. State laws come before Local laws, while Federal laws outweigh everything else. Whether you’re drafting your governing documents or deciding which one to follow, it’s important to always check the law first. This way, you’re not acting against the laws of the land.

So if your HOA CC&R documents have restrictions on things like sex and religion when it comes to potential homeowners, that would be in conflict with the Fair Housing Act. In this case, the related provisions in your CC&Rs violate federal law, which makes them unenforceable.


Next up on the HOA documents hierarchy is the map or plat that your association recorded with the county office. It’s simply the recorded plan of your entire subdivision or community. This document establishes maintenance responsibility and property location. It also shows the exact dimensions of each unit, easements, and setback requirements. Other items of note include:


3. CC&RS

The Declaration of Covenants, Conditions and Restrictions (CC&Rs) take the third spot on the HOA documents hierarchy. This document details the rights of homeowners and the responsibilities of the HOA board members.

Typically, the CC&Rs also contain stipulations associated with assessment obligations, maintenance responsibilities, and enforcement authority. This is also where you’ll find specific procedures on how to handle various issues such as disputes and violations.

Others know the CC&Rs as the Rules of the Community. This document guides homeowners on what they can and can’t do, particularly when it comes to property use and other aspects of HOA living. Before purchasing your home in an HOA community, you’ll be informed of the CC&Rs and asked to agree to them. You may even need to sign something as proof of agreement.

When a homeowner violates a covenant, certain consequences take place. Most Associations send out a notice of warning on the first offense. Fines and the suspension of privileges are typical courses of action for future violations. Failure to settle these fines can eventually lead to legal action.



The Articles of Incorporation includes essential information such as the legal name of the HOA, address, and the Association’s corporate status. Some articles also contain a few basic functions of the HOA. This document, while necessary, doesn’t consist of much. It’s filed with the state upon the formation of the Association.

Coming in fourth on the HOA documents hierarchy means the Articles of Incorporation supersede the HOA Bylaws and the operating rules. However, they don’t take seniority over the state laws or the CC&Rs. So, if something in your Articles of Incorporation comes into conflict with a provision in your CC&Rs, the latter takes precedence.

Attached: data records:
/*
1.
Computed, not measured: a cluster of 2 separate species, H2N3O2S in total at a distorted geometry, with wB97M-V/def2-TZVPD.

Charge: -1
Spin multiplicity: 3
E_LUMO (spin up / spin down): 4.0 / 2.5 eV
Energy above the lowest of the compared OMol25 structures with the same formula, charge and spin: 1.9242 eV
E_tot: -713.93383 Ha
Orbital gap (spin up / spin down): 6.80 / 6.39 eV

```
8
Properties=species:S:1:pos:R:3:forces:R:3
N 1.50709 -0.61954 -0.38561 2.5 2.4 0.2
N 0.29540 -0.68890 -0.23333 -1.8 -1.0 -0.4
N -0.41351 0.01359 0.69482 0.6 -0.4 0.8
O -0.62638 0.27637 -1.72840 0.3 0.5 -2.2
O -1.67010 -0.03136 0.71023 -1.3 -0.6 -1.7
S 0.31973 0.47614 2.03183 2.3 1.7 2.8
H 2.01509 0.26761 0.11603 -1.7 -2.4 -0.2
H -1.42731 0.30610 -1.20556 -0.8 -0.2 0.6
```
Forces are in eV/Å.

Quick look at the Mulliken charges, all values in e: -0.452 0.025 0.579 -0.493 -0.737 -0.518 0.218 0.378

=====

2.
Computed, not measured: a structure of composition C31H37N5Sn at a distorted geometry, with wB97M-V/def2-TZVPD.

Charge: -2
E_LUMO (spin up / spin down): 4.2 / 4.3 eV
Energy above the lowest of the compared OMol25 structures with the same formula, charge and spin: 0.1244 eV
E_tot: -1691.30994 Ha
Orbital gap (spin up / spin down): 3.27 / 2.15 eV

```
74
Properties=species:S:1:pos:R:3:forces:R:3
Sn -0.18425 0.99269 0.72078 -2.5 -0.7 1.1
N -0.92153 3.11364 1.15238 0.8 -1.4 0.4
N -0.49875 2.30348 -1.91090 2.5 -1.6 -0.8
C -1.38511 -2.28393 0.98614 -0.9 0.7 0.8
C -2.55677 -1.60592 0.53859 0.8 0.2 1.2
C -3.01919 -0.78262 1.60218 1.1 -0.8 0.1
C -4.18172 0.13034 1.58350 -0.4 0.3 0.1
H -4.69495 0.08759 0.61639 0.0 0.1 0.1
H -3.88124 1.17375 1.77325 -0.2 -0.1 -0.1
H -4.90762 -0.13866 2.36696 -0.1 0.1 -0.1
C -2.16166 -0.98096 2.71883 0.3 -0.6 -1.2
C -2.29276 -0.31431 4.03326 -0.2 0.1 0.4
H -2.99222 -0.86265 4.68592 0.0 0.2 0.2
H -2.67816 0.71003 3.92766 0.1 -0.1 0.1
H -1.33050 -0.26391 4.55965 -0.1 0.1 0.0
C -1.16864 -1.93101 2.34780 -0.9 0.8 -0.8
C -0.12845 -2.49253 3.23436 0.2 -0.2 0.2
H 0.14964 -1.78912 4.02715 0.1 -0.1 0.0
H 0.77665 -2.75289 2.67333 0.0 0.0 0.1
H -0.49090 -3.41021 3.72561 0.2 0.0 0.1
C -3.16319 -1.69075 -0.80567 -0.2 0.1 -0.5
H -4.26024 -1.69474 -0.73206 0.1 0.0 -0.2
H -2.85314 -2.61453 -1.30980 -0.1 0.1 -0.1
H -2.87122 -0.84268 -1.44852 -0.2 -0.1 0.0
C -0.52344 -3.18986 0.19347 0.3 -0.3 -0.2
H 0.49635 -2.77963 0.08050 -0.1 -0.2 -0.1
H -0.92469 -3.33386 -0.81861 0.1 -0.1 0.1
H -0.43294 -4.17993 0.67387 0.1 0.1 -0.2
C -0.81289 3.85827 2.28115 0.2 2.0 1.0
H -0.69598 3.31887 3.22945 -0.2 0.2 -0.3
C -0.83042 5.25559 2.24312 0.1 -1.8 0.9
H -0.76833 5.79828 3.18508 0.0 -0.1 -0.1
C -0.92414 5.92768 1.01805 0.2 1.6 0.3
H -0.86584 7.01415 0.96425 0.0 -0.2 0.1
C -1.08089 5.17207 -0.13097 -0.1 -2.6 -0.3
H -1.17058 5.59818 -1.12956 -0.1 -0.1 0.3
C -1.14317 3.75784 -0.03590 0.2 2.9 -0.8
C -1.45926 2.95150 -1.16860 -2.1 0.3 -0.4
H -2.46619 2.53440 -1.28240 0.3 0.0 0.0
C 0.36185 1.33161 -1.40937 -1.2 0.9 -2.5
C -0.38916 2.36372 -3.30467 -0.4 0.1 1.2
*/



The HOA Bylaws consist of important information related to how the Association is run. Like a business, a Board of Directors oversees the workings of an HOA. The Bylaws simply state the particulars of how to operate the HOA, such as how often to conduct meetings, the process of holding meetings, and voting rights. This document also includes how many Board members there should be as well as the functions of each of those Board members.

As fifth on the list, the only document the HOA Bylaws prevail over is the operating Rules and Regulations. So, if your Bylaws clash with, say, your Articles of Incorporation, you must follow the latter document. If you wish to see your HOA Bylaws, or any other governing document, you can request a copy from your HOA board or with the County Recorder’s office.


Whereas the CC&Rs and Bylaws determine the procedures and responsibilities of the HOA board, the Rules and Regulations focus on the day-to-day aspect of operations. This can include rules regarding weeds, trash containers, pets, and even architectural and landscaping specifications.

These rules can change from time to time, though the board must ensure that new rules or amendments don’t come into conflict with other governing documents. Moreover, it’s a good idea to have the Association’s attorney look over these policy changes to make sure the board is acting within its scope.

On the other hand, if you’re a homeowner who disagrees with one or some of the operating rules, you’re not entirely powerless. Make sure to let the Board know why you (and/or others) oppose the rule. You can also check your local laws or reference other governing documents to see what else you can do. After all, every state and association is different, so what may work for one HOA might not work for another.

Unity is Community